Listing.
/*
Here is a molecular structure, C14H52InN26O16 at a distorted geometry from the Open Molecules 2025 dataset. Energies are from the ωB97M-V functional and the def2-TZVPD basis.

```
109
Properties=species:S:1:pos:R:3:lowdin_charge:R:1
N -20.10 -10.83 -1.97 0.18
N -15.77 -8.17 2.10 0.19
N -10.51 -13.79 -4.26 0.19
O -14.84 -11.44 -1.96 0.12
H -11.28 -16.41 -4.04 0.11
H -11.40 -8.28 -1.42 0.12
N -17.62 -8.23 1.10 0.21
O -13.10 -7.01 -0.05 0.07
H -19.66 -10.58 -4.25 0.14
N -18.82 -10.62 -3.69 0.22
In -16.34 -12.80 0.31 1.37
N -11.92 -14.45 -0.43 0.20
H -12.05 -13.65 0.18 0.12
C -18.90 -10.89 -2.43 -0.85
H -14.59 -10.77 3.89 0.13
N -11.60 -6.00 -2.79 0.19
H -12.19 -10.53 0.78 0.13
O -12.57 -16.16 -6.22 0.00
H -14.76 -15.02 -5.30 0.10
H -21.29 -15.20 -1.25 0.13
H -11.85 -16.42 -1.24 0.12
N -12.89 -6.38 -4.37 0.18
H -13.39 -9.55 3.66 0.12
H -16.27 -18.33 -2.60 0.11
N -10.47 -12.23 -2.66 0.17
N -14.75 -9.40 -4.69 0.20
H -12.15 -9.69 2.38 0.14
H -13.49 -16.94 -1.15 0.13
H -10.06 -12.11 -1.75 0.11
H -13.40 -5.53 -4.16 0.12
O -8.62 -12.97 -3.64 0.04
N -12.46 -10.42 1.75 0.21
H -12.40 -11.07 -4.58 0.05
H -14.16 -9.04 -5.43 0.12
H -10.72 -6.16 -2.33 0.14
H -15.74 -16.77 -3.47 0.10
C -11.93 -6.89 -3.63 -0.81
H -16.89 -8.27 -2.73 0.13
H -9.76 -14.18 -4.81 0.14
H -17.88 -10.82 -4.00 0.11
C -12.94 -15.83 -5.04 -0.65
H -16.01 -7.22 2.35 0.13
N -13.83 -10.40 3.33 0.17
N -16.73 -13.53 -5.04 0.18
C -12.98 -15.12 -0.35 -0.81
H -14.94 -8.35 -0.11 0.10
C -16.59 -8.91 1.41 -0.81
N -16.28 -8.90 -3.23 0.20
H -12.25 -5.23 -2.72 0.13
O -13.96 -12.03 1.60 -0.09
H -16.06 -13.33 -4.31 0.04
N -20.54 -15.16 -1.93 0.18
N -15.51 -12.04 -5.98 0.20
O -11.42 -7.96 -3.85 0.04
C -11.58 -11.14 -6.43 -0.81
H -16.22 -9.86 -2.94 0.06
N -12.02 -12.34 -6.41 0.17
O -16.31 -15.92 -0.52 0.01
N -12.29 -8.72 -1.22 0.19
H -14.90 -12.22 -5.20 0.05
O -18.01 -11.01 -1.68 0.02
H -12.49 -15.73 -3.02 0.05
C -14.62 -12.33 -2.83 -0.95
C -15.60 -8.50 -4.27 -0.76
N -14.07 -15.26 -4.61 0.15
H -14.05 -9.60 -1.06 0.08
C -16.57 -12.73 -6.08 -0.80
H -14.91 -8.59 2.41 0.09
H -11.21 -14.55 -1.14 0.12
O -13.98 -14.75 0.20 0.02
O -13.78 -12.23 -3.68 0.07
H -17.86 -14.35 -3.14 0.06
H -11.62 -9.62 -5.19 0.09
H -14.19 -14.69 -3.79 0.05
O -11.12 -10.72 -7.44 0.10
H -15.22 -11.39 -6.70 0.14
N -15.95 -16.10 -2.74 0.14
O -17.33 -12.61 -7.00 0.07
H -12.71 -12.48 -5.69 0.06
H -18.33 -8.76 0.61 0.13
H -13.21 -7.02 -5.08 0.09
H -12.65 -9.42 -1.85 0.11
N -14.25 -8.65 -0.78 0.20
H -12.21 -12.71 -7.33 0.14
H -16.43 -18.54 -0.88 0.12
H -11.48 -13.66 -4.49 0.08
H -14.65 -10.17 -4.04 0.06
C -16.26 -16.60 -1.52 -0.69
O -15.68 -7.37 -4.70 0.04
H -17.86 -7.29 1.38 0.14
H -20.28 -11.34 -1.11 0.12
C -9.83 -12.98 -3.54 -0.80
H -20.62 -15.55 -2.86 0.12
N -18.75 -14.80 -2.97 0.15
H -15.63 -15.15 -2.85 0.03
N -16.38 -17.92 -1.68 0.17
H -11.47 -12.21 -2.81 0.06
O -16.28 -10.00 1.02 -0.04
C -13.17 -8.01 -0.69 -0.90
C -13.47 -11.01 2.20 -0.69
N -12.81 -16.21 -1.00 0.19
H -19.12 -15.37 -3.72 0.11
H -17.53 -14.13 -4.93 0.10
O -15.33 -13.35 -2.63 -0.01
N -12.25 -16.12 -3.92 0.14
H -20.93 -10.80 -2.55 0.12
C -19.35 -14.66 -1.75 -0.67
N -11.87 -10.59 -5.29 0.20
O -18.81 -14.10 -0.81 -0.04
```

## Properties
Orbital gap, eV: 2.3492
Energy above the lowest of the compared OMol25 structures with the same formula, charge and spin, eV: 2.851
Highest occupied orbital energy, Ha: -0.406
LUMO, eV: -8.7
Charge: +1

Here is C12H12N2S2 in the gas phase at a distorted geometry from the Open Molecules 2025 dataset. Energies are from the ωB97M-V functional and the def2-TZVPD basis.

```
28
Properties=species:S:1:pos:R:3:lowdin_charge:R:1
S -0.74 -1.64 2.74 0.70
H -2.62 0.80 -2.62 0.12
C -1.84 -1.21 -2.65 -0.08
C -0.27 -0.40 -0.43 -0.08
C 0.58 -1.09 1.89 -0.71
C -1.26 1.92 -0.56 -0.13
H 0.92 1.68 2.12 0.14
C -1.96 0.07 -2.10 -0.03
H -0.74 1.18 2.03 0.12
H -1.29 2.63 -1.42 0.13
H 0.48 -2.41 -0.45 0.11
H -2.44 -1.49 -3.50 0.10
C -0.19 -1.72 -0.96 0.00
H 0.84 2.53 -0.22 0.12
C 0.18 1.29 1.41 -0.14
C 0.55 -0.06 0.81 -0.42
C -0.94 -2.08 -2.09 -0.08
*/
Request.
Work out how many lines further above have the word "spin" in them; a number is enough.
Reply.
1